Excerpt =
- - -
For Cu3Mo4O12, a PBE+U-relaxed structure gives the simulated X-ray powder pattern in this record (λ = 1.5418 Å (Cu Kα)).
Intensities are scaled so that the largest is 100.

Top 8 peaks for 2θ = 10–90°, in order of rising 2θ:
2θ = 16.51°, I = 14
2θ = 23.44°, I = 23
2θ = 33.38°, I = 100
2θ = 33.43°, I = 20
2θ = 47.94°, I = 30
2θ = 59.60°, I = 24
2θ = 59.67°, I = 19
2θ = 59.79°, I = 14

Structural model:
Cell: 6.5604 6.5754 6.5756 Å, 109.46 109.39 109.43°
Fractional positions:
Cu (0.0000, 0.0000, 0.0000)
Cu (0.0000, 0.5000, 0.5000)
Cu (0.5000, 0.0000, 0.5000)
Mo (0.0000, 0.0000, 0.5000)
Mo (0.0000, 0.5000, 0.0000)
Mo (0.5000, 0.0000, 0.0000)
Mo (0.5000, 0.5000, 0.5000)
O (0.0073, 0.3106, 0.6802)
O (0.1812, 0.3669, 0.1751)
O (0.1852, 0.0082, 0.8162)
O (0.3225, 0.1918, 0.5081)
O (0.3293, 0.8210, 0.1331)
O (0.3650, 0.6850, 0.6929)
O (0.6350, 0.3150, 0.3071)
O (0.6707, 0.1790, 0.8669)
O (0.6775, 0.8082, 0.4919)
O (0.8148, 0.9918, 0.1838)
O (0.8188, 0.6331, 0.8249)
O (0.9927, 0.6894, 0.3198)


For CuMo3O11, a PBE+U-relaxed structure gives the simulated X-ray powder pattern in this record (λ = 1.5418 Å (Cu Kα)).
Intensities are scaled so that the largest is 100.

Top 8 peaks for 2θ = 10–90°, in order of rising 2θ:
2θ = 11.99°, I = 100
2θ = 13.18°, I = 90
2θ = 23.38°, I = 36
2θ = 25.91°, I = 50
2θ = 28.46°, I = 81
2θ = 31.35°, I = 30
2θ = 31.63°, I = 42
2θ = 59.57°, I = 31

Structural model:
Cell: 8.7506 7.7012 13.7550 Å, 90.00 90.00 90.00°
Fractional positions:
Cu (0.0539, 0.2500, 0.1542)
Cu (0.4461, 0.7500, 0.6542)
Cu (0.5539, 0.2500, 0.3458)
Cu (0.9461, 0.7500, 0.8458)
Mo (0.1346, 0.0006, 0.6015)
Mo (0.1346, 0.4994, 0.6015)
Mo (0.1721, 0.2500, 0.4037)
Mo (0.3279, 0.7500, 0.9037)
Mo (0.3654, 0.5006, 0.1015)
Mo (0.3654, 0.9994, 0.1015)
Mo (0.6347, 0.0006, 0.8985)
Mo (0.6347, 0.4994, 0.8985)
Mo (0.6721, 0.2500, 0.0963)
Mo (0.8279, 0.7500, 0.5963)
Mo (0.8654, 0.5006, 0.3985)
Mo (0.8654, 0.9994, 0.3985)
O (0.0824, 0.7500, 0.5913)
O (0.0976, 0.0313, 0.7232)
O (0.0976, 0.4687, 0.7232)
O (0.1134, 0.0157, 0.4354)
O (0.1134, 0.4843, 0.4354)
O (0.1148, 0.2500, 0.9013)
O (0.1256, 0.7500, 0.9199)
O (0.1361, 0.2500, 0.5635)
O (0.1529, 0.2500, 0.2745)
O (0.1670, 0.0470, 0.0974)
O (0.1670, 0.4530, 0.0974)
O (0.3330, 0.5470, 0.5974)
O (0.3330, 0.9530, 0.5974)
O (0.3471, 0.7500, 0.7745)
O (0.3639, 0.7500, 0.0635)
O (0.3744, 0.2500, 0.4199)
O (0.3852, 0.7500, 0.4013)
O (0.3866, 0.5157, 0.9354)
O (0.3866, 0.9843, 0.9354)
O (0.4024, 0.5313, 0.2232)
O (0.4024, 0.9687, 0.2232)
O (0.4176, 0.2500, 0.0913)
O (0.5824, 0.7500, 0.9087)
O (0.5976, 0.0313, 0.7768)
O (0.5976, 0.4687, 0.7768)
O (0.6134, 0.0157, 0.0646)
O (0.6134, 0.4843, 0.0646)
O (0.6148, 0.2500, 0.5987)
O (0.6256, 0.7500, 0.5801)
O (0.6361, 0.2500, 0.9365)
O (0.6529, 0.2500, 0.2255)
O (0.6670, 0.0470, 0.4026)
O (0.6670, 0.4530, 0.4026)
O (0.8330, 0.5470, 0.9026)
O (0.8330, 0.9530, 0.9026)
O (0.8471, 0.7500, 0.7255)
O (0.8639, 0.7500, 0.4365)
O (0.8744, 0.2500, 0.0801)
O (0.8852, 0.7500, 0.0987)
O (0.8866, 0.5157, 0.5646)
O (0.8866, 0.9843, 0.5646)
O (0.9024, 0.5313, 0.2768)
O (0.9024, 0.9687, 0.2768)
O (0.9176, 0.2500, 0.4087)


For Cu3Mo2O9, a PBE+U-relaxed structure gives the simulated X-ray powder pattern in this record (λ = 1.5418 Å (Cu Kα)).
Intensities are scaled so that the largest is 100.

Top 8 peaks for 2θ = 10–90°, in order of rising 2θ:
2θ = 22.92°, I = 46
2θ = 24.92°, I = 61
2θ = 25.87°, I = 100
2θ = 26.36°, I = 43
2θ = 26.57°, I = 78
2θ = 28.98°, I = 59
2θ = 34.82°, I = 55
2θ = 35.51°, I = 47

Structural model:
Cell: 7.7607 14.8812 6.8910 Å, 90.00 90.00 90.00°
Fractional positions:
Cu (0.0033, 0.0020, 0.0000)
Cu (0.1629, 0.1415, 0.2579)
Cu (0.2030, 0.4349, 0.7527)
Cu (0.2970, 0.9349, 0.2527)
Cu (0.3371, 0.6415, 0.7579)
Cu (0.4967, 0.5020, 0.5000)
Cu (0.5033, 0.4980, 0.0000)
Cu (0.6629, 0.3585, 0.2579)
Cu (0.7030, 0.0651, 0.7527)
Cu (0.7970, 0.5651, 0.2527)
Cu (0.8371, 0.8585, 0.7579)
Cu (0.9967, 0.9980, 0.5000)
Mo (0.1538, 0.3859, 0.2516)
Mo (0.2380, 0.6659, 0.2517)
- - -
Assignment =
It remains to reproduce the contents further up from the first line to the one with "0.5963)" word for word.
Completed =
For Cu3Mo4O12, a PBE+U-relaxed structure gives the simulated X-ray powder pattern in this record (λ = 1.5418 Å (Cu Kα)).
Intensities are scaled so that the largest is 100.

Top 8 peaks for 2θ = 10–90°, in order of rising 2θ:
2θ = 16.51°, I = 14
2θ = 23.44°, I = 23
2θ = 33.38°, I = 100
2θ = 33.43°, I = 20
2θ = 47.94°, I = 30
2θ = 59.60°, I = 24
2θ = 59.67°, I = 19
2θ = 59.79°, I = 14

Structural model:
Cell: 6.5604 6.5754 6.5756 Å, 109.46 109.39 109.43°
Fractional positions:
Cu (0.0000, 0.0000, 0.0000)
Cu (0.0000, 0.5000, 0.5000)
Cu (0.5000, 0.0000, 0.5000)
Mo (0.0000, 0.0000, 0.5000)
Mo (0.0000, 0.5000, 0.0000)
Mo (0.5000, 0.0000, 0.0000)
Mo (0.5000, 0.5000, 0.5000)
O (0.0073, 0.3106, 0.6802)
O (0.1812, 0.3669, 0.1751)
O (0.1852, 0.0082, 0.8162)
O (0.3225, 0.1918, 0.5081)
O (0.3293, 0.8210, 0.1331)
O (0.3650, 0.6850, 0.6929)
O (0.6350, 0.3150, 0.3071)
O (0.6707, 0.1790, 0.8669)
O (0.6775, 0.8082, 0.4919)
O (0.8148, 0.9918, 0.1838)
O (0.8188, 0.6331, 0.8249)
O (0.9927, 0.6894, 0.3198)


For CuMo3O11, a PBE+U-relaxed structure gives the simulated X-ray powder pattern in this record (λ = 1.5418 Å (Cu Kα)).
Intensities are scaled so that the largest is 100.

Top 8 peaks for 2θ = 10–90°, in order of rising 2θ:
2θ = 11.99°, I = 100
2θ = 13.18°, I = 90
2θ = 23.38°, I = 36
2θ = 25.91°, I = 50
2θ = 28.46°, I = 81
2θ = 31.35°, I = 30
2θ = 31.63°, I = 42
2θ = 59.57°, I = 31

Structural model:
Cell: 8.7506 7.7012 13.7550 Å, 90.00 90.00 90.00°
Fractional positions:
Cu (0.0539, 0.2500, 0.1542)
Cu (0.4461, 0.7500, 0.6542)
Cu (0.5539, 0.2500, 0.3458)
Cu (0.9461, 0.7500, 0.8458)
Mo (0.1346, 0.0006, 0.6015)
Mo (0.1346, 0.4994, 0.6015)
Mo (0.1721, 0.2500, 0.4037)
Mo (0.3279, 0.7500, 0.9037)
Mo (0.3654, 0.5006, 0.1015)
Mo (0.3654, 0.9994, 0.1015)
Mo (0.6347, 0.0006, 0.8985)
Mo (0.6347, 0.4994, 0.8985)
Mo (0.6721, 0.2500, 0.0963)
Mo (0.8279, 0.7500, 0.5963)